
  1. 如果咖啡豆被喷洒农药,一旦食用后会对你的DNA产生影响。

    Coffee beans are sprayed with pesticides , which can affect your DNA .

  2. 如果咖啡不是非常烫,她就不喝。

    She won 't drink coffee if it 's not good and hot .

  3. 解决这种抵触的主如果咖啡。

    The coffee is essential in resolving such standoffs .

  4. 除此之外,你需要检查是否有一个作料盘,如果咖啡烘烤机来用杯子或不是。

    Apart from that you need to check if there is a condiments tray and if the coffee roaster machine comes with cups or not .

  5. 米肖德说,如果咖啡和茶的高摄取量在某种程度上能防止罹患脑胶质瘤,研究者对脑瘤的成因就能进行更深层次的探讨。

    Still , Michaud said , if higher coffee and tea intake is somehow protective against glioma , that could give researchers insight into the causes of the tumors .

  6. 不过,还有一个额外的好处在于,如果咖啡洒在围巾上,会从料子表面滚滑落,这种材质摸起来就像丝绸,却可以抗污。

    But an added benefit comes from the fact that if coffee is spilt on the scarf , it will bead right off the fabric , which feels like silk but is dirt-resistant .

  7. 如果对咖啡要求非常高,可以往机器里倒点热水先预热一下。

    If you really care about quality , then pre-heat the press by pouring hot water in it .

  8. 如果上等咖啡和有氛围的咖啡馆对您十分重要,这里绝对是您的理想之选。

    If good coffee and fabulous cafes are important to you , this is definitely the place to be .

  9. 琼:你知道我不会在第一次约会的时候亲吻的,杰夫!如果喝咖啡要亲吻,那我就不会去吃饭了!

    Joan : you know that I don 't kiss on the first date , jeff ! If coffee costs a kiss , then I 'll give dinner a miss !

  10. 如果喝咖啡会让你感觉不舒服,令你难以入睡,或者会让你变成一个不太讨人喜欢的人,那么,你也尽可以少喝或者不喝咖啡。

    If coffee makes you feel bad , or makes it hard for you to sleep , or renders you a less likable person - then by all means feel free to cut back or stop .

  11. 如果在咖啡杯上画上一张正在打哈欠的嘴,当你喝咖啡准备醒醒脑子的时候,别人看到你的杯子却会增加困意。

    If you draw up on a coffee cup is yawning mouth , a cup of coffee ready when you wake up the brain when people see the cup but you will increase the hardship of Italy .

  12. CNN特派员大卫·圭肯锡:如果这杯咖啡不曾经过印度尼西亚棕榈猫的肠子消化,或许一杯只需几美元。

    DAVID MCKENZIE , CNN CORRESPONDENT : This coffee might not have been digested through the bowels of an Indonesian palm civet , but it costs only a few bucks .

  13. 如果你喜欢咖啡,你占了多数。

    If you like coffee , you 're in the majority .

  14. 但是,如果你喜欢咖啡,那就随心所欲地享用吧。

• Here the text breaks off for calculated crystals:
........
1.
TbAl4IrRh2 PBE relaxed; calculated total energy = -6.26 eV/atom; Fermi-level density of states = 2.888 states/eV per cell; ΔE_f = -83.2 kJ/mol of atoms; total magnetic moment = 0.000 μB per cell
1.0
4.2101 0.0000 0.0000
2.1050 3.6460 0.0000
2.1050 1.2153 8.7264
Tb Al Ir Rh
1 4 1 2
Direct
0.0000 0.0000 0.0000
0.4034 0.4034 0.7897
0.8675 0.8675 0.3976
0.1325 0.1325 0.6024
0.5966 0.5966 0.2103
0.5000 0.5000 0.5000
0.7648 0.7648 0.7057
0.2352 0.2352 0.2943

=====

2.
TbAlIrRh PBE relaxed; calculated total energy = -6.93 eV/atom; Fermi-level density of states = 1.184 states/eV per cell; ΔE_f = -75.9 kJ/mol of atoms; total magnetic moment = 0.000 μB per cell
1.0
4.5883 0.0000 0.0000
2.2942 3.9736 0.0000
2.2942 1.3245 3.7464
Rh Ir Tb Al
1 1 1 1
Direct
0.5000 0.5000 0.5000
0.0000 0.0000 0.0000
0.2500 0.2500 0.2500
0.7500 0.7500 0.7500

=====

3.
TiAl4Ir2Rh PBE relaxed; calculated total energy = -6.82 eV/atom; Fermi-level density of states = 4.696 states/eV per cell; ΔE_f = -80.0 kJ/mol of atoms; total magnetic moment = 1.686 μB per cell
1.0
-3.9912 0.5254 -1.5424
-2.0403 -3.3048 -1.8708
-4.6813 -2.8240 5.1272
Ti Al Ir Rh
1 4 2 1
Direct
0.0000 0.0000 0.0000
0.3792 0.3792 0.8623
0.8708 0.8708 0.3877
0.1292 0.1292 0.6123
0.6208 0.6208 0.1377
0.7469 0.7469 0.7594
0.2531 0.2531 0.2406
0.5000 0.5000 0.5000

=====

4.
TmAlIrRh PBE relaxed; calculated total energy = -7.01 eV/atom; Fermi-level density of states = 0.931 states/eV per cell; ΔE_f = -87.3 kJ/mol of atoms; total magnetic moment = 0.000 μB per cell
1.0
-3.4152 -0.4794 2.9449
-0.3633 -3.7974 2.4522
0.8210 0.0931 4.4590
Rh Ir Tm Al
1 1 1 1
Direct
0.5000 0.5000 0.5000
0.0000 0.0000 0.0000
0.7500 0.7500 0.7500
0.2500 0.2500 0.2500

=====

5.
AlVIrRh2 PBE relaxed; calculated total energy = -5.98 eV/atom; Fermi-level density of states = 16.181 states/eV per cell; ΔE_f = 125.5 kJ/mol of atoms; total magnetic moment = 0.025 μB per cell
1.0
4.7330 0.0000 0.0000
0.0000 4.5224 0.0000
0.0000 0.0000 4.7330
Ir Rh Al V
1 2 1 1
Direct
0.0000 0.0000 0.0000
0.0000 0.0000 0.5000
0.5000 0.0000 0.0000
0.0000 0.5000 0.0000
0.5000 0.5000 0.5000

=====

6.
AlZnIrRh PBE relaxed; calculated total energy = -6.00 eV/atom; Fermi-level density of states = 1.186 states/eV per cell; ΔE_f = -67.1 kJ/mol of atoms; total magnetic moment = 0.000 μB per cell
1.0
-3.1870 2.7612 -0.6598
-4.0114 -1.4150 -0.3499
-2.8191 0.7870 3.1063
Zn Ir Rh Al
1 1 1 1
Direct
0.2500 0.2500 0.2500
0.0000 0.0000 0.0000
0.5000 0.5000 0.5000
0.7500 0.7500 0.7500
........

    But if you like it , then by all means enjoy it .

  15. 如果你在咖啡馆撞上了他,他会道歉。

    If you bumped into him in a cafe , he 'd apologize .

  16. 如果还需要咖啡或者找人聊聊。

    If you ever need another cup of coffee or someone to talk to .

  17. 如果是在咖啡店,她点了什么?

    If she 's behind you in line at Starbucks , what is she ordering ?

  18. 如果喝杯咖啡或果汁可以让你清醒,那就来一杯。

    If coffee or cold fruit juice perks you up , then go ahead and drink .

  19. 如果你的咖啡凉了,你可以把它放进微波炉转一分钟。

    If your coffee has gone cold you can put it in the microwave and nuke it for a minute .

  20. 如果沾有咖啡、果汁及血渍等,应送专门洗涤店洗涤。

    If there are coffee stains , juice stains or blood , please send sweaters to the professional laundry shop .

  21. 如果这是咖啡,那就给我倒些茶;如果这是茶,那就给我来些咖啡。

    If this is coffee , please bring me some tea ; if this is tea , please bring me some coffee .

  22. 如果你用咖啡和奶油争取修道院院长莫尔莱为你说好话,那你也许已经成功了。

    If you had gained over the Abbe Moreelet with coffee and cream to speak for you , perhaps you would have succeed .

  23. 如果你像咖啡豆,你会在情况最糟糕时,变得有出息了,并使周围的情况改变好了。

    If you are like the bean , when things are at their worst , you get better and make things better around you .

  24. 可是,比起鲁肯勋爵的书桌,我的书桌有两个优点。如果你把咖啡溅在桌子上,用抹布一擦就干净了。

    Yet my desk has two advantages over Lord Lucan 's. If you spill coffee on it , you can wipe it up with a dishcloth .

  25. 在旧金山的一间办公室里,如果你把咖啡杯扔进机器人垃圾箱里,它就会自动把杯子分到可回收垃圾里。

    At an office in San Francisco , if you drop a coffee cup in a robotic waste bin , the machine will automatically sort the cup for recycling .

  26. 即使是运营商在介绍的时候隐瞒,但是事实是极其需要一个很长的时间去升高到一个很高的温度如果你的咖啡需要这样的一个必须的变化。

    Even with that operator-induced hindrance , the fact is this machine takes a long time to get up to higher temperatures if your coffee necessitates that kind of change .

  27. 如果你是咖啡馆老板又或者是宠物店老板,(你可以)花点时间在雅虎问答上面为可能顾客解答困惑。

    If you are a coffee shop owner or a pet shop owner , get in touch with your potential customers by investing some time to answer questions on Yahoo Answers .

  28. 如果你喝咖啡,吃海虾,喜欢香蕉或打算购买一套新的轮胎,你最终可能因为这场灾难而付出代价。

    If you drink coffee , eat shrimp , like bananas or plan to buy a new set of tires , you could end up paying more because of the disaster .

  29. 我和他没有直接的工作往来,甚至并不十分了解他,但我喜欢他,如果我在咖啡机旁遇到他,经常会和他开玩笑。

    I don 't work directly with him or even know him terribly well , but I like him and quite often share a joke with him if I meet him by the coffee machine .

  30. 说到糖,如果你喝的咖啡中含有大量的糖,也可能会导致喝咖啡后更加疲劳。

    And speaking of sugar , if your go-to coffee concoction5 involves lots of it , that could contribute to post-coffee fatigue6 , too .